Activity:
Find "-1.78877" and "1.22146" in the rows underneath, and repeat these two lines and those between.

Source:
-- begin --
Computed, not measured: a molecular structure, C55H72GeKN6O4 at a distorted geometry, with ωB97M-V/def2-TZVPD.

Calculated values
Total charge = -1
LUMO = 1.40 eV
DFT total energy = -5445.35624 a.u.
ΔE to the lowest compared entry with this formula, charge and spin = 4.9409 eV

Last column: Löwdin charge in e.
Positions of all 139 atoms, in Å:
K: -0.69308 0.93941 0.14484  0.621
C: 2.58490 2.90826 -0.70873  -0.082
N: 1.38714 3.05637 0.09531  -0.217
C: 0.55229 4.17524 -0.36878  -0.194
C: -0.03972 4.09986 -1.78877  -0.147
C: -1.51290 3.66965 -1.87658  -0.242
N: -1.63664 2.23289 -1.93088  -0.037
C: -2.41121 1.73819 -2.82625  -0.145
C: -2.65842 0.35984 -3.17417  -0.153
C: -3.31133 0.15041 -4.40843  -0.100
C: -3.50736 -1.09893 -4.94933  -0.149
C: -3.02721 -2.21381 -4.22454  -0.125
C: -2.41241 -2.06827 -3.00955  -0.025
C: -2.22663 -0.78101 -2.37933  -0.407
O: -1.72651 -0.67616 -1.23809  -0.195
C: 1.72122 3.34166 1.49571  -0.220
C: 2.55577 2.31874 2.26001  -0.161
C: 1.94423 0.91750 2.37606  -0.219
N: 0.52173 1.00165 2.63223  0.022
C: 0.11401 1.03110 3.83008  -0.122
C: -1.30144 1.11726 4.21914  -0.168
C: -1.64208 0.69541 5.50324  -0.042
C: -2.96047 0.62565 5.92437  -0.091
C: -3.98065 0.96675 5.04615  -0.069
C: -3.67708 1.39799 3.76373  -0.011
C: -2.35372 1.45803 3.36760  -0.221
O: -2.05284 2.03506 2.09978  -0.068
H: 3.23572 3.80180 -0.64706  0.095
H: 2.33360 2.73796 -1.75376  0.064
H: 3.15658 2.04143 -0.37256  0.083
H: 1.13741 5.10979 -0.27771  0.116
H: -0.27305 4.27412 0.35056  0.104
H: 0.54061 3.41975 -2.41463  0.085
H: 0.06496 5.08824 -2.24596  0.105
H: -2.00192 4.15486 -2.73582  0.104
H: -2.03082 4.05844 -0.97824  0.099
H: -2.95021 2.44056 -3.48592  0.108
H: -3.65281 1.02911 -4.95580  0.092
H: -4.00546 -1.22737 -5.90329  0.074
H: -3.15445 -3.21098 -4.63662  0.087
H: -2.06431 -2.92938 -2.44500  0.095
H: 0.78530 3.47184 2.03203  0.085
H: 2.25517 4.31170 1.55069  0.123
H: 2.67981 2.73960 3.26419  0.112
H: 3.56632 2.23323 1.84173  0.102
H: 2.47530 0.34023 3.14163  0.114
H: 2.08812 0.39561 1.42096  0.084
H: 0.80662 0.89354 4.67548  0.130
H: -0.84159 0.39710 6.17432  0.111
H: -3.19204 0.27475 6.92236  0.100
H: -5.01783 0.88078 5.35361  0.107
H: -4.45269 1.62867 3.04086  0.123
C: 4.62330 1.42796 -6.38474  -0.050
C: 4.63139 1.64892 -4.86613  -0.562
C: 5.87182 0.97226 -4.28351  -0.070
C: 4.71220 3.15420 -4.56579  -0.044
C: 3.34509 1.10480 -4.25214  -0.174
C: 2.10467 1.54455 -4.71352  -0.021
C: 0.94508 1.09661 -4.10073  -0.109
N: 0.94028 0.25054 -3.06863  0.176
C: 2.11887 -0.19574 -2.63801  -0.209
C: 3.33327 0.19849 -3.20022  0.024
C: 2.06974 -1.23900 -1.56300  -0.202
C: 2.72251 -2.44887 -1.77281  0.040
C: 2.55281 -3.49594 -0.87213  -0.153
C: 1.72528 -3.25159 0.21698  -0.001
C: 1.13926 -2.00683 0.37019  -0.115
N: 1.30437 -1.00046 -0.49634  0.102
C: 3.17948 -4.87332 -1.07327  -0.555
C: 4.10684 -4.90955 -2.28882  -0.073
C: 2.05710 -5.90113 -1.28025  -0.045
C: 3.99473 -5.25024 0.17194  -0.049
H: 5.56142 1.78656 -6.82162  0.083
H: 3.80214 1.96459 -6.86670  0.076
H: 4.51779 0.36531 -6.62177  0.092
H: 6.76802 1.38023 -4.75942  0.083
H: 5.86010 -0.10860 -4.45622  0.089
H: 5.95617 1.14685 -3.20664  0.085
H: 5.62337 3.57955 -5.00232  0.084
H: 4.72965 3.33202 -3.48635  0.085
H: 3.85241 3.68963 -4.97840  0.081
H: 2.02627 2.24500 -5.53884  0.107
H: -0.03335 1.43138 -4.44088  0.110
H: 4.24652 -0.21560 -2.78868  0.109
H: 3.31326 -2.56096 -2.67336  0.106
H: 1.50821 -4.02121 0.95022  0.115
H: 0.48626 -1.79817 1.22146  0.061
H: 3.56256 -4.70674 -3.21629  0.086
H: 4.55337 -5.90431 -2.37570  0.082
H: 4.92063 -4.18212 -2.19948  0.086
H: 1.46050 -5.65241 -2.16294  0.098
H: 1.37756 -5.93205 -0.42405  0.049
H: 2.48293 -6.90168 -1.41885  0.088
H: 4.79007 -4.52053 0.35271  0.089
H: 4.45506 -6.23495 0.03557  0.082
H: 3.36651 -5.29317 1.06489  0.079
C: -3.45136 -2.81357 6.01395  -0.136
C: -1.94426 -3.06715 6.06311  -0.278
C: -1.33045 -3.66085 4.78049  -0.304
C: -0.84833 -2.61871 3.75116  -0.402
Ge: -2.06172 -1.72014 2.33973  0.840
C: -2.16504 -3.23693 0.99290  -0.428
-- stop --

Outcome:
C: -0.03972 4.09986 -1.78877  -0.147
C: -1.51290 3.66965 -1.87658  -0.242
N: -1.63664 2.23289 -1.93088  -0.037
C: -2.41121 1.73819 -2.82625  -0.145
C: -2.65842 0.35984 -3.17417  -0.153
C: -3.31133 0.15041 -4.40843  -0.100
C: -3.50736 -1.09893 -4.94933  -0.149
C: -3.02721 -2.21381 -4.22454  -0.125
C: -2.41241 -2.06827 -3.00955  -0.025
C: -2.22663 -0.78101 -2.37933  -0.407
O: -1.72651 -0.67616 -1.23809  -0.195
C: 1.72122 3.34166 1.49571  -0.220
C: 2.55577 2.31874 2.26001  -0.161
C: 1.94423 0.91750 2.37606  -0.219
N: 0.52173 1.00165 2.63223  0.022
C: 0.11401 1.03110 3.83008  -0.122
C: -1.30144 1.11726 4.21914  -0.168
C: -1.64208 0.69541 5.50324  -0.042
C: -2.96047 0.62565 5.92437  -0.091
C: -3.98065 0.96675 5.04615  -0.069
C: -3.67708 1.39799 3.76373  -0.011
C: -2.35372 1.45803 3.36760  -0.221
O: -2.05284 2.03506 2.09978  -0.068
H: 3.23572 3.80180 -0.64706  0.095
H: 2.33360 2.73796 -1.75376  0.064
H: 3.15658 2.04143 -0.37256  0.083
H: 1.13741 5.10979 -0.27771  0.116
H: -0.27305 4.27412 0.35056  0.104
H: 0.54061 3.41975 -2.41463  0.085
H: 0.06496 5.08824 -2.24596  0.105
H: -2.00192 4.15486 -2.73582  0.104
H: -2.03082 4.05844 -0.97824  0.099
H: -2.95021 2.44056 -3.48592  0.108
H: -3.65281 1.02911 -4.95580  0.092
H: -4.00546 -1.22737 -5.90329  0.074
H: -3.15445 -3.21098 -4.63662  0.087
H: -2.06431 -2.92938 -2.44500  0.095
H: 0.78530 3.47184 2.03203  0.085
H: 2.25517 4.31170 1.55069  0.123
H: 2.67981 2.73960 3.26419  0.112
H: 3.56632 2.23323 1.84173  0.102
H: 2.47530 0.34023 3.14163  0.114
H: 2.08812 0.39561 1.42096  0.084
H: 0.80662 0.89354 4.67548  0.130
H: -0.84159 0.39710 6.17432  0.111
H: -3.19204 0.27475 6.92236  0.100
H: -5.01783 0.88078 5.35361  0.107
H: -4.45269 1.62867 3.04086  0.123
C: 4.62330 1.42796 -6.38474  -0.050
C: 4.63139 1.64892 -4.86613  -0.562
C: 5.87182 0.97226 -4.28351  -0.070
C: 4.71220 3.15420 -4.56579  -0.044
C: 3.34509 1.10480 -4.25214  -0.174
C: 2.10467 1.54455 -4.71352  -0.021
C: 0.94508 1.09661 -4.10073  -0.109
N: 0.94028 0.25054 -3.06863  0.176
C: 2.11887 -0.19574 -2.63801  -0.209
C: 3.33327 0.19849 -3.20022  0.024
C: 2.06974 -1.23900 -1.56300  -0.202
C: 2.72251 -2.44887 -1.77281  0.040
C: 2.55281 -3.49594 -0.87213  -0.153
C: 1.72528 -3.25159 0.21698  -0.001
C: 1.13926 -2.00683 0.37019  -0.115
N: 1.30437 -1.00046 -0.49634  0.102
C: 3.17948 -4.87332 -1.07327  -0.555
C: 4.10684 -4.90955 -2.28882  -0.073
C: 2.05710 -5.90113 -1.28025  -0.045
C: 3.99473 -5.25024 0.17194  -0.049
H: 5.56142 1.78656 -6.82162  0.083
H: 3.80214 1.96459 -6.86670  0.076
H: 4.51779 0.36531 -6.62177  0.092
H: 6.76802 1.38023 -4.75942  0.083
H: 5.86010 -0.10860 -4.45622  0.089
H: 5.95617 1.14685 -3.20664  0.085
H: 5.62337 3.57955 -5.00232  0.084
H: 4.72965 3.33202 -3.48635  0.085
H: 3.85241 3.68963 -4.97840  0.081
H: 2.02627 2.24500 -5.53884  0.107
H: -0.03335 1.43138 -4.44088  0.110
H: 4.24652 -0.21560 -2.78868  0.109
H: 3.31326 -2.56096 -2.67336  0.106
H: 1.50821 -4.02121 0.95022  0.115
H: 0.48626 -1.79817 1.22146  0.061